Who's at what rank?
 #137401  by Lurch
I hereby request Rogue to be my trainer/Master if that's ok with all. My original one a few years ago was Wind. I know many of you remember him. I never completed that training because I left KR. THAT was a mistake on my part. But that's all water under the bridge now so I'm starting fresh again. Lord knows I need HELP!!! Dueling/fighting bots is WAY different from real people. This will be a great challenge for me. Ty all.
 #137402  by Yato
I would love to train you and the fun adventure shall continue :) We can learns each other no matter if's new or old styles, it's fun to learn new things everyday. Once again, I would love to take you.

Knights, speak up, this is your only chances, if none have spoke, I'm willing to take Lurch as Paddy
 #137404  by jawfin
Of course, what Rogue meant to say is we much prefer our Jedi Knights take the new Students as Padawans - so before anyone of a higher rank offers their services we would like to see what acceptable arrangements can be made between our Knights and Students.
 #137408  by Kirito
Get those saber skillz up man. Good luck with your training and future trials.
 #137452  by Lurch
Ty Kirito and my skillz or sad lack thereof are because I haven't played in about 3 years. And my red single style stinks. I have never been able to quite get the hang of red. I use it mostly in FFA's as a DFA attack. I primarily use yellow style when dueling, etc. In either case I am still rusty and with this new computer I have key binds in different places than my old one. I am still not used to it yet. But all in good time I suppose. :mrgreen: :D :) 8)
 #137545  by Kirito
Well, the positive note of that is you will always be learning new things then. I mean I've been playing for A LONG TIME lol, and still learn new things all the time. Rogue actually taught me some cool red moves just the other day. Just takes practice and a good trainer. Which in this case, KR server is full of crazy good players when you see them do something cool you don't know, ask them to show you. Then incorporate moves into your style :D.
 #137586  by Ted
I'll be more than happy to teach you if you like.
 #138020  by Lurch
Ok decision made but not easily. I like both of them. My choice is Rogue. I'm sorry Defeatedz . No hard feelings I hope. It was a tough decision for me to come to. Ty for both of you being patient and waiting for me to decide. :D :) :mrgreen: 8)
 #138043  by Ted
Absolutely no hard feelings, don't be silly! Good luck you two =)
 #138052  by Falcon

~~~
Computed, not measured: a structure of composition Cl4H2Si2, with ωB97M-V/def2-TZVPD.

```
8
Cl4H2Si2 (ωB97M-V/def2-TZVPD)
Si 0.89448 0.11158 -0.58380
Si -0.96965 0.23494 0.73121
Cl 0.39590 -2.14264 -2.01052
Cl 2.35392 -0.35366 0.69759
Cl -0.52045 1.82037 2.00272
Cl -2.67021 0.73933 -0.26729
H 1.54533 0.55109 -1.98052
H -1.02932 -0.96102 1.41061
```

For the HOMO energy, the calculation gives -10.0 eV. As for the orbital gap: 8.789 eV. Its LUMO energy is -1.252 eV. The relative energy (zero: lowest compared OMol25 entry of this formula, charge and spin) is 162.6 kJ/mol. The spin multiplicity is 1.

Results of the Mulliken charge analysis, in e, for atoms 1 through 6: number 1, Si, carries 0.502; number 2, Si, carries 0.600; number 3, Cl, carries -0.482; number 4, Cl, carries -0.136; number 5, Cl, carries -0.216; number 6, Cl, carries -0.176

----------

{
  "formula": "C60H90N14",
  "method": "ωB97M-V/def2-TZVPD",
  "species": ["N", "C", "C", "C", "C", "H", "H", "H", "H", "H", "N", "C", "C", "C", "C", "H", "H", "H", "H", "H", "N", "C", "C", "C", "C", "H", "H", "H", "H", "H", "N", "C", "C", "C", "C", "H", "H", "H", "H", "H", "N", "C", "C", "C", "C", "H", "H", "H", "H", "H", "N", "C", "C", "C", "C", "H", "H", "H", "H", "H", "N", "C", "C", "C", "C", "H", "H", "H", "H", "H", "N", "C", "C", "C", "C", "H", "H", "H", "H", "H", "N", "C", "C", "C", "C", "H", "H", "H", "H", "H", "N", "C", "C", "C", "C", "H", "H", "H", "H", "H", "N", "C", "C", "C", "C", "H", "H", "H", "H", "H", "N", "C", "C", "C", "C", "H", "H", "H", "H", "H", "C", "C", "N", "C", "C", "C", "C", "H", "H", "H", "H", "H", "H", "H", "H", "H", "H", "H", "H", "H", "H", "H", "C", "C", "N", "C", "C", "C", "C", "H", "H", "H", "H", "H", "H", "H", "H", "H", "H", "H", "H", "H", "H", "H"],
~~~
Good luck!